The Deceits is the last of the first three Elusive Target Arcade missions added to Hitman 3 with its Year Two update. To complete it, you need to kill five Elusive Targets across five levels without failing any of them. This guide explains how to complete The Deceits with a rank of Silent Assassin.

Elusive Target Arcade warning

All Elusive Target Arcade missions carry a harsh penalty with them for failure. If you die in a mission or the target escapes, then you’ll be locked out of it for 12 hours. We recommend following our routes a few times while restarting each level to get a feel for the choke points and danger zones. Then, when you feel like you can, take the missions on for real and kill each target.

Level 1 – The Prince

The first target in this mission is a priest with questionable associates in his past. The added complication with this first level of the mission is that you can only subdue one NPC, or you’ll fail. Our loadout uses the base starting location of the town square, but we do recommend that you bring a lockpick with you.

From your starting location, run to your right toward the building where someone is yelling at a man on a balcony. You need to go into this building and then into the apartment on the first floor. This is the ICA safehouse, so you won’t need to use a lockpick to get inside. Once you’re in, pick up the gun on the side and then head through the bathroom and out onto the roof. See a map reference for this building below.

From the roof, run to the edge and slide down the drainpipe. Run down the stairs to the bottom, and you’ll see two bodyguards. Head into the building behind them — marked with a 7 — flip a coin inside the doorway and wait for one of them to come inside. When they do, subdue them, drag their body up one flight of stairs, and steal their disguise.

Run out of the building and across the square in front of it. You need to make your way to the path that drops down to the left-hand side of the church. Two bodyguards guard a door there, and you need to get inside. See a map reference for this door below.

You have two options here. You can either wait for the bodyguards to walk away and use the lockpick to get inside, or you can head to the ledge down the path and climb up to the graveyard. From there, you can get downstairs through the church’s interior. Either way, you need to get downstairs and into the room with the security camera footage to await your target. See below for a map reference for this room.

Now you must wait for the target to come downstairs. Use instinct to check when they’re moving. You’ll be able to see because they have a bodyguard with them that can see through your disguise. Even once they’re downstairs, you need to wait a bit longer for the priest in the hat to walk back upstairs. Then, you can head out into the hall in the catacombs and place the gun you picked up earlier on the floor.

Go back into the security footage room and wait. When the target is about to leave, they’ll have their bodyguard collect this gun first. Then, when the target is walking past the door, flip a coin to distract them and draw them inside. Once they’re in, kill them and drag their body to the back of the room. Make sure you don’t subdue them.

Now you can leave through the main door to the catacombs and take the boat on the pier as an exit. It’s best to use this one since the body could be discovered if you take too long to leave.

Level 2 – The Identity Thief

The second target in this mission has the same complication as the first. There are multiple ways you could kill him that all revolve around electrocution. We recommend bringing along the ICA Remote Micro Taser because it’s the easiest to use.

From your starting location, run to the bar and out into the garden. There’s a pool of water with a wire running through it at the bottom of some steps, which is how we’re going to kill the target. See below for a map reference for this location.

You now have two options. You can either shoot the plug sitting in the water to electrify it or drop the ICA Remote Micro Taser in it and activate it later. Either way, you must wait for the target to walk out here and come down the stairs.

Flip a coin into the puddle to draw him in when he does. If you’re using the ICA Remote Micro Taser, you need to activate it as he steps in the puddle to kill him. Then you can leave using any exit you want.

Level 3 – The Angel of Death

Your third target has the added complication that you must hide all bodies in crates or boxes before you can exit. This makes the target much harder to kill, but we’ve found a straightforward method. You need a briefcase with the Remote Emetic Gas Device inside it to pull this off. You will also need a silenced pistol like the Krugermeier 2-2- Dark. It’s also essential that you bring a lockpick.

From your starting location, you need to run to the back door of the shisha bar. This is a black door in one of the walkways in the souk. Two men will have a conversation about an interview next to the door. This needs to play out before they’ll move away. Then, when no one is looking, use the lockpick to unlock the door. Next, you can retrieve the Remote Emetic Gas Device inside the locker room and then put it back into your briefcase to arm it. You’ll need this later. See the map reference below for the door to the locker room.

Next, run to the carpet shop entrance. It’s right next to the stairs into the military training camp. Hide in the corner on the right and shoot the gas tank on the bike. Then, once enough fuel has pooled beneath it, shoot the fuel to cause an explosion.

This causes the soldiers to lock down the target. They’re going to rush her to the shisha bar, so run ahead of them and use the back entrance you unlocked earlier to get inside. When the target is safely there, use the Remote Emetic Gas Device in your briefcase to gas her and force her into the bathroom.

Follow the target into the bathroom and drown her. Then, you can dump her body in the nearby crate. Do this quickly because we found that a soldier came inside quite soon once the target was dead. Now you can leave through any exit you want to use.

Level 4 – The Fugitive

The fourth target in this mission has past complications but can also be one of three different people depending on RNG. You won’t know if you’ve killed them until the NPC is dead. If you’ve accidentally killed a non-target, restart the mission and try again until you kill them. The loadout for this mission requires you to smuggle the Remote Emetic Gas Device in through the staff wardrobe. That’s all you’ll need.

From your starting location, go into the garden of the main facility and run up to the top left-hand corner. There’s a drainpipe that you need to climb onto and slide down. Climb onto the first ledge that you come to and vault onto the walkway. See below for a map reference for this drainpipe.

Follow the walkway left and down the stairs. You need to subdue the guard at the bottom, take his disguise, and hide his body inside the door behind you. Then, follow your map marker to collect your smuggled item and return to this walkway. Next, you need to go up the stairs, left, and then into the door to the bar on your right.

Between two parts of the piece: materials data =
'''
A relaxed structure of LiCuP3O9, computed with PBE-GGA.

Geometry as POSCAR:
```
LiCuP3O9
1.0
-0.244 -2.333 4.874
10.610 0.599 0.819
-0.963 10.344 4.903
Li Cu P O
4 4 12 36
Direct
0.089 0.119 0.076
0.589 0.381 0.924
0.911 0.619 0.424
0.411 0.881 0.576
0.591 0.031 0.860
0.091 0.469 0.140
0.409 0.531 0.640
0.909 0.969 0.360
0.874 0.075 0.622
0.372 0.149 0.366
0.068 0.195 0.821
0.568 0.305 0.179
0.872 0.351 0.634
0.374 0.425 0.378
0.126 0.575 0.878
0.628 0.649 0.134
0.932 0.695 0.679
0.432 0.805 0.321
0.128 0.851 0.866
0.626 0.925 0.122
0.519 0.011 0.032
0.638 0.037 0.684
0.508 0.059 0.441
0.088 0.090 0.719
0.117 0.116 0.321
0.824 0.179 0.885
0.303 0.196 0.888
0.548 0.179 0.255
0.858 0.215 0.570
0.358 0.285 0.430
0.048 0.321 0.745
0.803 0.304 0.112
0.324 0.321 0.115
0.617 0.384 0.679
0.588 0.410 0.281
0.008 0.441 0.559
0.138 0.463 0.316
0.019 0.489 0.968
0.481 0.511 0.468
0.362 0.537 0.816
0.492 0.559 0.059
0.912 0.590 0.781
0.883 0.616 0.179
0.176 0.679 0.615
0.697 0.696 0.612
0.452 0.679 0.245
0.142 0.715 0.930
0.642 0.785 0.070
0.952 0.821 0.755
0.197 0.804 0.388
0.676 0.821 0.385
0.383 0.884 0.821
0.412 0.910 0.219
0.992 0.941 0.941
0.862 0.963 0.184
0.981 0.989 0.532
```

## Properties
VASP energy (eV/atom): -6.66
Energy relative to the elements (eV/atom): -2.335
Distance to the lowest polymorph of the same formula (meV per atom): 68
E (MP2020) (eV for the cell shown): -397.900

~~~~~

<P>
DFT (GGA+U) results for an optimized crystal structure of MgFeSb4O12.

Values from the calculation:
- Crystal system: triclinic
- Calculated density: 5.7 g cm⁻³
- M_tot: 4.00 μB per formula unit

a = 5.5292 Å, b = 10.8588 Å, c = 9.5052 Å
α = 29.22°, β = 52.94°, γ = 58.38°
Atoms (fractional coordinates):
O 0.3625 0.8049 0.1211
O 0.0988 0.8227 0.7252
O 0.8532 0.7072 0.2108
O 0.6435 0.1992 0.8375
O 0.6896 0.8796 0.3599
O 0.2183 0.6321 0.6055
O 0.1468 0.2668 0.7969
O 0.3351 0.2889 0.1243
O 0.7498 0.3673 0.3658
O 0.2803 0.1119 0.6227
O 0.6234 0.7134 0.8445
O 0.8446 0.1761 0.2627
Sb 0.9793 0.5034 0.9824
Sb 0.4750 0.9989 0.4870
Sb 0.9921 0.9946 0.9931
Sb 0.4974 0.5019 0.4817
Mg 0.6834 0.9987 0.7067
Fe 0.2768 0.0263 0.2188


<Q>
DFT (GGA+U) results for an optimized crystal structure of MgFeSb4O12.

Values from the calculation:
- Crystal system: triclinic
- Calculated density: 5.7 g cm⁻³
- M_tot: 4.01 μB per formula unit

a = 5.5304 Å, b = 11.0282 Å, c = 9.6768 Å
α = 28.56°, β = 51.83°, γ = 57.13°
Atoms (fractional coordinates):
O 0.6160 0.6858 0.8662
O 0.2319 0.6274 0.6139
O 0.8726 0.1839 0.2384
O 0.7108 0.8867 0.3510
O 0.8457 0.7185 0.2004
O 0.3451 0.2859 0.1340
O 0.2086 0.1117 0.6259
O 0.1194 0.3132 0.7396
O 0.3821 0.8171 0.1003
O 0.7292 0.3638 0.3777
O 0.1128 0.8183 0.7251
O 0.6289 0.1792 0.8526
Sb 0.5042 0.9948 0.4943
Sb 0.0112 0.0049 0.9832
Sb 0.4830 0.5022 0.4901
Sb 0.9759 0.4974 0.9985
Mg 0.7976 0.0001 0.7793
Fe 0.2940 0.9968 0.2805


Which is the most stable structure? <Q> is the most stable.


<P>
'''
The piece goes on =

Once you’re in the bar, you need to wait for the NPC with the bandages on their face to arrive. Then, they’ll sit down on the couch just in front of the bar. Drop the Remote Emetic Gas Device at their feet and trigger it straight away. This will poison the NPC and cause them to go downstairs to the bathroom.

Follow the NPC into the bathroom stall and drown them. If it’s the target, you’ll get a notification and can hide their body and exit. If not, restart the missions and repeat this route until you kill them.

Level 5 – The Black Hat

This final target adds a new complication that gives you a two-minute timer to finish the mission if you’re caught on camera. The loadout we’re using is the basic starting location, but you need to bring along the Electronic Key Hacker. We also brought along the Guru’s Emetic Grenade as a safety net, and a silenced pistol is also essential.

Head to the bar and then left toward the garden from your starting location. You need to vault into the garden, a trespassing zone. See below for a map reference for where to vault in.

Turn left and head to the corner of the mansion. There’s a drainpipe that you need to climb up and then vault onto a balcony full of people. You won’t be caught since that area isn’t a trespassing zone.

Go through the corridor and get to the attic. This is through a private door, so you’ll be trespassing as soon as you’re inside. Take care to hide behind cover and dodge the guards in the area. See below for a map reference for the attic door.

Inside, you need to take the first open door on your left, then your right. This leads to an open area full of guards. Use instinct to track the guard through the wall to your right. When he turns and walks away, move through the door to that area. Once you’re through the door, turn left and go through the curtains. There’s a statue here you can hide behind.

Wait for the guard on the right in this room to leave. He’ll walk past the statue, so use it as cover to avoid him. The guard on the left will eventually walk away and face out of the window. In the meantime, you can shoot out the camera above the door in the distance. Then, when the second guard looks away, hack the electronic lock on the door and go inside.

This is the room where your target is located. He’s the one in the white shirt. There’s also a guard in here to make things slightly more uncomfortable. Wait a while, and the target will eventually ask to go to the bathroom. The guard won’t let him leave, so he’ll go to the corner to pee. You can kill him and put his body in a crate when he does. If you wait for the second NPC to turn around, you should have time to do this, but the bodyguard makes things difficult. If you poison the bodyguard with the Emetic Grenade, he’ll leave, and you can kill your target in peace. However, it’s also possible to bring the fiber wire along to speed up the kill. Once you’re finished, you can return the way you came and pick any exit you fancy using to leave the mission.